An all-rounder that will handle any situation. Whether in groomers, powder, tracked-out terrain, or in the backcountry, enjoy the full-rail carving in all condition. This board is the most echoed from users all around Japan and is probably the hidden standard board of Gentemstick. It is the most recommended board for any rider thinking of switching to Gentemstick.

1626 mm
Running Length
1124 mm
1190 mm
Nose Width
298 mm
Waist Width
255 mm
Tail Width
283 mm
Sidecut R.
9200 mm
-40 mm
7.5 mm
Sidecut Dep.
21.5 mm
4 mm
Stance Width
510-590 mm
Front Foot
Rec. Stance
510 mm
Rear Foot
(w/o tax ¥169,000)
The color, design, and specifications may differ from the actual product and are subject to change without notice.



The idea of traditional camber is to apply the same amount of pressure onto the entire edge of a board to attain smoother, more stable carving and turning.

The camber arches from the center of the board all the way to 3 cm inside of the widest point of a board, both the nose and the tail. To turn, this camber has to be stepped on and the bottom pressed against the surface. This type of camber is effective at a resort, compacted slope or on a flat face. But it has lots of demerit on deep powder, fresh snow, or terrains with three-dimensional features. It is arched against the direction of the board, and the board could get hooked on the snow easily, making the turn less agile.

The GENTEMSTICK’s radical Accel camber eliminates hooking and prevents nosedives in deep powder or fresh snow, while maintaining a natural floatation. It is designed and shaped to perform its best when the rider stands neutrally on top of a board. It is made flat from the widest point of the nose side to about the front foot. The arch begins there and reaches the highest around the back foot, and it ends at the widest point of the tail side. When a rider stands on the board, the arch gets pushed and the area ahead of the front foot barely touches the snow.

This is the position that maximizes the performance of the board, and also the same position that reaches maximum velocity in ski races and other speed competitions. Accel camber has an arch from point A to point B. The board becomes flat as the back foot pressures the board. It rises slightly from the point C to the nose, which effectively reduces snow resistance. There are boards with similar camber designs released from major manufacturers these days. It is important to remember that the nose rocker design becomes very important with this kind of camber system, which has the peak of its arch placed further behind the center of a board. The GENTEMSTICK Accel camber boards are distinctly designed, especially from the point where the camber ends to the widest point of the nose. The key is to reduce resistance.

'''
Record 1
K2CaSnSe4 | the Alexandria database | PBE | relaxed; density of states at the Fermi level = 0.00 states/eV/f.u.; energy = -31.3 eV per cell; V = 30.6 A^3/atom; total moment = 0.00 μB per formula unit; uncorrected formation energy = -1141 meV per atom
1.0
7.326 0.000 0.000
3.663 5.778 0.000
3.663 0.000 5.778
Se K Ca Sn
4 2 1 1
Direct
0.893 0.000 0.648
0.540 0.000 0.352
0.460 0.648 0.000
0.107 0.352 0.000
0.500 0.500 0.500
0.000 0.500 0.500
0.000 0.000 0.000
0.500 0.000 0.000


Record 2
Re2IrC2 | the Alexandria database | PBE | relaxed; polymorph energy (0 for the lowest one) = 0.139 eV/atom; density of states at the Fermi level = 3.42 states/eV/f.u.; energy of formation = 85.8 kJ/mol of atoms; energy = -47.8 eV per cell; V = 12.0 A^3/atom; total moment = 0.00 μB per formula unit
1.0
-1.993 3.090 -0.543
-3.137 -1.956 0.385
-2.526 1.345 4.202
C Re Ir
2 2 1
Direct
0.250 0.750 0.500
0.750 0.250 0.500
0.643 0.643 0.714
0.357 0.357 0.286
0.000 0.000 0.000


Record 3
DyHo5Th | the Alexandria database | PBE | relaxed; polymorph energy (0 for the lowest one) = 0.852 eV/atom; density of states at the Fermi level = 8.85 states/eV/f.u.; energy of formation = 101.2 kJ/mol of atoms; energy = -27.6 eV per cell; V = 41.6 A^3/atom; total moment = 0.00 μB per formula unit
1.0
-0.042 3.656 5.098
-7.884 0.755 -0.607
3.251 -6.926 1.133
Th Ho Dy
1 5 1
Direct
0.696 0.500 0.000
0.694 0.743 0.486
0.418 0.822 0.000
0.418 0.178 0.000
0.179 0.500 0.000
0.208 0.257 0.514
0.917 0.000 0.000


Record 4
Ac2AlSiPt | the Alexandria database | PBE | relaxed; density of states at the Fermi level = 5.16 states/eV/f.u.; energy = -54.1 eV per cell; V = 29.1 A^3/atom; total moment = 0.00 μB per formula unit; uncorrected formation energy = -728 meV per atom
1.0
-1.435 -3.462 2.354
2.739 1.106 3.296
-10.619 8.469 5.982
Ac Al Si Pt
4 2 2 2
Direct
0.000 0.500 0.105
0.500 0.000 0.895
0.500 0.000 0.323
0.000 0.500 0.677
0.500 0.500 0.500
0.000 0.000 0.500
0.000 0.500 0.885
0.500 0.000 0.115
0.500 0.000 0.590
0.000 0.500 0.410


Record 5
Ac11Nd4Y9 | the Alexandria database | PBE | relaxed; density of states at the Fermi level = 35.77 states/eV/f.u.; energy of formation = 8.7 kJ/mol of atoms; energy = -120.3 eV per cell; V = 38.7 A^3/atom; total moment = 0.00 μB per formula unit
1.0
3.887 0.000 0.000
0.000 14.817 -6.355
0.000 -0.021 16.122
Y Ac Nd
9 11 4
Direct
0.500 0.068 0.213
0.500 0.500 0.500
0.500 0.932 0.787
0.500 0.787 0.932
0.500 0.632 0.167
0.500 0.213 0.068
0.500 0.368 0.833
0.500 0.833 0.368
0.500 0.167 0.632
0.000 0.841 0.159
0.000 0.000 0.000
0.000 0.405 0.043
0.000 0.957 0.595
0.000 0.159 0.841
0.000 0.368 0.632
0.000 0.709 0.709
0.000 0.043 0.405
0.000 0.632 0.368
0.000 0.595 0.957
0.000 0.291 0.291
0.500 0.758 0.556
0.500 0.242 0.444
0.500 0.556 0.758
0.500 0.444 0.242


Record 6
'''
The records of crystals stop here:


ぬまけん / 尾瀬 片品 / ガイド

福島 / 会社員 / 群馬エリア
きれいな圧雪面を滑ることももちろん楽しいですが、主に非圧雪を含むエリアを滑る時に出番がやってきます。ツリーに苦手意識があるので、非圧雪を滑る時には不安要素があるなら「荒れた面でも対応力のあるBABY MANTARAY」。状況が良いと分かっているなら「浮力がありターンを楽しめるTT160」を選んでいました。が、私はフラットキャンバーの自由さが好きなので、BABY MANTARAYの対応力とTT160のライン取りが同時に欲しいと思っていました。実はFLOATERの購入は二度目で、FLOATER161の白が限定で出た時に購入していましたが当時は思ったようにしっくりこず、やっぱり体格が板に合っていないんだと手放してしまいました。以降、FLOATERは視野に入ることはありませんでしたが、今のFLOATER162は前のFLOATERと違うから大丈夫。ということで選択。先行者のトラックが残っていたり多少面が荒れていても、何事もなかったかのような走破性。ツリーの中でも思った所で素直にターンが切れ、ツリーが開けた所では全力でRが描ける。スピードを落としたい・加速したい時にきっちりスピードコントロールでき滑りたいラインだけに集中させてくれる。安心して滑りを預けられる心強いナビゲーター、そんな印象です。

Chris Yeh/USA/180cm /76kg /10US M
This is the first Gentemstick I have bought, I demoed it before purchasing it in soft spring snow. This board turns really precisely, I think it is easy to control with the mellow camber, also kind a good entry board to get into gentemstick boards. The size also feels just right for me, I usually ride 158 for park boards. I really enjoy this board on anything, except for extremely firm condition .

ワンダー/日本/179cm /80kg /28.5cm

とげぞー/日本/170cm /65kg /25.5cm

カナタロウ/日本/174cm /65kg /27.5cm

yasu/日本/175cm /65kg /26.5cm

painmountain/日本/170cm /65kg /26.5cm

ハイエース乗り/日本/172cm /89kg /27cm

ジョージ/日本/179cm /70kg /28cm

hirohonda0609/日本/175cm /70kg /27cm

イダッチ/日本/170cm /60kg /25.5cm

dachan/日本/170cm /65kg /26.5cm

モト/日本/181cm /60kg /26.5cm